• What to do:
Transcribe all of the data further below without altering anything.

• File:
'''
Model i:
## RbMg14Sn (PBE-GGA)

Data for RbMg14Sn after structural relaxation.

Values from the calculation:
As for the spin magnetization: 0.00 Bohr magnetons per cell.

Cell lengths 6.525, 6.525, 10.973 Å; angles 90.00, 90.00, 120.00 degrees
Fractional positions:
1 Rb 0.167 0.333 0.625
2 Mg 0.163 0.831 0.125
3 Mg 0.173 0.836 0.625
4 Mg 0.669 0.337 0.125
5 Mg 0.664 0.327 0.625
6 Mg 0.669 0.831 0.125
7 Mg 0.664 0.836 0.625
8 Mg 0.338 0.162 0.363
9 Mg 0.338 0.162 0.887
10 Mg 0.338 0.677 0.363
11 Mg 0.338 0.677 0.887
12 Mg 0.823 0.162 0.363
13 Mg 0.823 0.162 0.887
14 Mg 0.833 0.667 0.382
15 Mg 0.833 0.667 0.868
16 Sn 0.167 0.333 0.125

=====

Model ii:
## RbMg14Sn (PBE-GGA)

Data for RbMg14Sn after structural relaxation.

Values from the calculation:
As for the spin magnetization: 0.00 Bohr magnetons per cell.

Cell lengths 6.543, 6.669, 10.649 Å; angles 90.00, 90.00, 120.64 degrees
Fractional positions:
1 Rb 0.169 0.834 0.125
2 Mg 0.165 0.332 0.625
3 Mg 0.168 0.834 0.625
4 Mg 0.665 0.338 0.125
5 Mg 0.669 0.332 0.625
6 Mg 0.665 0.827 0.125
7 Mg 0.669 0.837 0.625
8 Mg 0.335 0.177 0.388
9 Mg 0.335 0.177 0.862
10 Mg 0.335 0.659 0.388
11 Mg 0.335 0.659 0.862
12 Mg 0.832 0.166 0.371
13 Mg 0.832 0.166 0.879
14 Mg 0.821 0.660 0.391
15 Mg 0.821 0.660 0.859
16 Sn 0.182 0.341 0.125

=====

According to the calculations, the structures order from most to least stable as model ii, model i.

=====

Model i:
## RbSrMg6 (PBE-GGA)

Data for RbSrMg6 after structural relaxation.

Values from the calculation:
As for the spin magnetization: 0.01 Bohr magnetons per cell.

Cell lengths 5.298, 7.191, 13.555 Å; angles 90.00, 90.00, 90.00 degrees
Fractional positions:
1 Rb 0.500 0.000 0.175
2 Rb 0.500 0.500 0.675
3 Sr 0.500 0.500 0.171
4 Sr 0.500 0.000 0.671
5 Mg 0.500 0.255 0.423
6 Mg 0.500 0.745 0.423
7 Mg 0.000 0.738 0.047
8 Mg 0.000 0.262 0.047
9 Mg 0.000 0.000 0.361
10 Mg 0.000 0.500 0.354
11 Mg 0.500 0.755 0.923
12 Mg 0.500 0.245 0.923
13 Mg 0.000 0.238 0.547
14 Mg 0.000 0.762 0.547
15 Mg 0.000 0.500 0.861
16 Mg 0.000 0.000 0.854

=====

Model ii:
## RbSrMg6 (PBE-GGA)

Data for RbSrMg6 after structural relaxation.

Values from the calculation:
As for the spin magnetization: 0.01 Bohr magnetons per cell.

Cell lengths 5.563, 7.185, 12.451 Å; angles 90.00, 90.00, 90.00 degrees
Fractional positions:
1 Rb 0.000 0.500 0.341
2 Rb 0.000 0.000 0.841
3 Sr 0.500 0.500 0.159
4 Sr 0.500 0.000 0.659
5 Mg 0.000 0.240 0.082
6 Mg 0.000 0.760 0.082
7 Mg 0.000 0.000 0.333
8 Mg 0.500 0.771 0.418
9 Mg 0.500 0.229 0.418
10 Mg 0.500 0.000 0.166
11 Mg 0.000 0.740 0.582
12 Mg 0.000 0.260 0.582
13 Mg 0.000 0.500 0.833
14 Mg 0.500 0.271 0.918
15 Mg 0.500 0.729 0.918
16 Mg 0.500 0.500 0.666

=====

According to the calculations, the structures order from most to least stable as model i, model ii.

=====

Model i:
## RbMg6Ti (PBE-GGA)

Data for RbMg6Ti after structural relaxation.

Values from the calculation:
As for the spin magnetization: 2.11 Bohr magnetons per cell.

Cell lengths 6.901, 6.901, 4.463 Å; angles 90.00, 90.00, 90.00 degrees
Fractional positions:
1 Rb 0.500 0.500 0.500
2 Mg 0.000 0.500 0.500
3 Mg 0.500 0.000 0.500
4 Mg 0.215 0.785 0.000
5 Mg 0.785 0.215 0.000
6 Mg 0.215 0.215 0.000
7 Mg 0.785 0.785 0.000
8 Ti 0.000 0.000 0.500

=====

Model ii:
## RbMg6Ti (PBE-GGA)

Data for RbMg6Ti after structural relaxation.

Values from the calculation:
As for the spin magnetization: 0.53 Bohr magnetons per cell.

Cell lengths 6.495, 6.495, 5.345 Å; angles 90.00, 90.00, 110.09 degrees
Fractional positions:
1 Rb 0.610 0.390 0.500
2 Mg 0.891 0.678 0.000
3 Mg 0.322 0.109 0.000
4 Mg 0.364 0.636 0.000
5 Mg 0.689 0.912 0.500
6 Mg 0.088 0.311 0.500
7 Mg 0.168 0.832 0.500
8 Ti 0.867 0.133 0.000

=====

According to the calculations, the structures order from most to least stable as model i, model ii.

=====

Model i:
## RbMg6W (PBE-GGA)

Data for RbMg6W after structural relaxation.

Values from the calculation:
As for the spin magnetization: 0.00 Bohr magnetons per cell.
'''

• Reply:
Model i:
## RbMg14Sn (PBE-GGA)

Data for RbMg14Sn after structural relaxation.

Values from the calculation:
As for the spin magnetization: 0.00 Bohr magnetons per cell.

Cell lengths 6.525, 6.525, 10.973 Å; angles 90.00, 90.00, 120.00 degrees
Fractional positions:
1 Rb 0.167 0.333 0.625
2 Mg 0.163 0.831 0.125
3 Mg 0.173 0.836 0.625
4 Mg 0.669 0.337 0.125
5 Mg 0.664 0.327 0.625
6 Mg 0.669 0.831 0.125
7 Mg 0.664 0.836 0.625
8 Mg 0.338 0.162 0.363
9 Mg 0.338 0.162 0.887
10 Mg 0.338 0.677 0.363
11 Mg 0.338 0.677 0.887
12 Mg 0.823 0.162 0.363
13 Mg 0.823 0.162 0.887
14 Mg 0.833 0.667 0.382
15 Mg 0.833 0.667 0.868
16 Sn 0.167 0.333 0.125

=====

Model ii:
## RbMg14Sn (PBE-GGA)

Data for RbMg14Sn after structural relaxation.

Values from the calculation:
As for the spin magnetization: 0.00 Bohr magnetons per cell.

Cell lengths 6.543, 6.669, 10.649 Å; angles 90.00, 90.00, 120.64 degrees
Fractional positions:
1 Rb 0.169 0.834 0.125
2 Mg 0.165 0.332 0.625
3 Mg 0.168 0.834 0.625
4 Mg 0.665 0.338 0.125
5 Mg 0.669 0.332 0.625
6 Mg 0.665 0.827 0.125
7 Mg 0.669 0.837 0.625
8 Mg 0.335 0.177 0.388
9 Mg 0.335 0.177 0.862
10 Mg 0.335 0.659 0.388
11 Mg 0.335 0.659 0.862
12 Mg 0.832 0.166 0.371
13 Mg 0.832 0.166 0.879
14 Mg 0.821 0.660 0.391
15 Mg 0.821 0.660 0.859
16 Sn 0.182 0.341 0.125

=====

According to the calculations, the structures order from most to least stable as model ii, model i.

=====

Model i:
## RbSrMg6 (PBE-GGA)

Data for RbSrMg6 after structural relaxation.

Values from the calculation:
As for the spin magnetization: 0.01 Bohr magnetons per cell.

Cell lengths 5.298, 7.191, 13.555 Å; angles 90.00, 90.00, 90.00 degrees
Fractional positions:
1 Rb 0.500 0.000 0.175
2 Rb 0.500 0.500 0.675
3 Sr 0.500 0.500 0.171
4 Sr 0.500 0.000 0.671
5 Mg 0.500 0.255 0.423
6 Mg 0.500 0.745 0.423
7 Mg 0.000 0.738 0.047
8 Mg 0.000 0.262 0.047
9 Mg 0.000 0.000 0.361
10 Mg 0.000 0.500 0.354
11 Mg 0.500 0.755 0.923
12 Mg 0.500 0.245 0.923
13 Mg 0.000 0.238 0.547
14 Mg 0.000 0.762 0.547
15 Mg 0.000 0.500 0.861
16 Mg 0.000 0.000 0.854

=====

Model ii:
## RbSrMg6 (PBE-GGA)

Data for RbSrMg6 after structural relaxation.

Values from the calculation:
As for the spin magnetization: 0.01 Bohr magnetons per cell.

Cell lengths 5.563, 7.185, 12.451 Å; angles 90.00, 90.00, 90.00 degrees
Fractional positions:
1 Rb 0.000 0.500 0.341
2 Rb 0.000 0.000 0.841
3 Sr 0.500 0.500 0.159
4 Sr 0.500 0.000 0.659
5 Mg 0.000 0.240 0.082
6 Mg 0.000 0.760 0.082
7 Mg 0.000 0.000 0.333
8 Mg 0.500 0.771 0.418
9 Mg 0.500 0.229 0.418
10 Mg 0.500 0.000 0.166
11 Mg 0.000 0.740 0.582
12 Mg 0.000 0.260 0.582
13 Mg 0.000 0.500 0.833
14 Mg 0.500 0.271 0.918
15 Mg 0.500 0.729 0.918
16 Mg 0.500 0.500 0.666

=====

According to the calculations, the structures order from most to least stable as model i, model ii.

=====

Model i:
## RbMg6Ti (PBE-GGA)

Data for RbMg6Ti after structural relaxation.

Values from the calculation:
As for the spin magnetization: 2.11 Bohr magnetons per cell.

Cell lengths 6.901, 6.901, 4.463 Å; angles 90.00, 90.00, 90.00 degrees
Fractional positions:
1 Rb 0.500 0.500 0.500
2 Mg 0.000 0.500 0.500
3 Mg 0.500 0.000 0.500
4 Mg 0.215 0.785 0.000
5 Mg 0.785 0.215 0.000
6 Mg 0.215 0.215 0.000
7 Mg 0.785 0.785 0.000
8 Ti 0.000 0.000 0.500

=====

Model ii:
## RbMg6Ti (PBE-GGA)

Data for RbMg6Ti after structural relaxation.

Values from the calculation:
As for the spin magnetization: 0.53 Bohr magnetons per cell.

Cell lengths 6.495, 6.495, 5.345 Å; angles 90.00, 90.00, 110.09 degrees
Fractional positions:
1 Rb 0.610 0.390 0.500
2 Mg 0.891 0.678 0.000
3 Mg 0.322 0.109 0.000
4 Mg 0.364 0.636 0.000
5 Mg 0.689 0.912 0.500
6 Mg 0.088 0.311 0.500
7 Mg 0.168 0.832 0.500
8 Ti 0.867 0.133 0.000

=====

According to the calculations, the structures order from most to least stable as model i, model ii.

=====

Model i:
## RbMg6W (PBE-GGA)

Data for RbMg6W after structural relaxation.

Values from the calculation:
As for the spin magnetization: 0.00 Bohr magnetons per cell.